Andrew Long ran after LCGC's leader Bazil Meade to get the London Community Gospel Choir's story.

When you talk about the music of British black gospel choirs there is one name that immediately springs to mind as a pioneering spirit in that field, a name which has opened doors for gospel music in television, live concerts and secular work. That name is, of course, The London Community Gospel Choir. I recently met the Choir's musical director, Bazil Meade, at his home in London to talk about their new album and also to look at their history. He began by telling me about his own background.
"I'm from an island called Montserrat," said Bazil. "It's a small volcanic island with a population of about 12,000 people. I left when I was aged nine for England: my dad gave me over to a friend who was just asked to keep an eye on me, a nine year old travelling by boat for a month with all my worldly goods in a little case.
"I first lived in the Clapton Pond area of East London. I had my first experience of trains when I came into Waterloo. I'd never seen a train or a bus before. It was overwhelming for me as a country boy; it was a whole new experience. Here I was in built up areas when I was accustomed to the animals, the goats, the sheep, the cattle, being able to go to the sea whenever I wanted to, so it was a completely different way of life and I had to learn. I'm not unique in that way because there was a generation of West Indians who came to England aged between eight and ten and I meet a lot of them now whose experiences are exactly the same."
I moved on to ask Bazil how he became interested in listening to and learning to play music.
"It was compulsory that I went to Sunday School. My mother went to church at the time so the rest of the family had to go. She went to a branch of the New Testament Church and the minister there was a musician, he loved playing the guitar. He was particularly good at that, a very keen guitarist. I suppose I began showing some interest in the music side of things and what really prompted me to start picking up a guitar was that when my older brother came to England, the first thing he bought with his first wage packet was a guitar. So I learned a few chords from him and I eventually developed sufficiently to be able to play in church. The minister then took me under his wing and started showing me more chords so I actually bought an electric guitar and started playing in church and it was all very exciting. The then assistant pastor of the church, Rev Parris, who was a travelling evangelist, didn't have a musician with her so she invited me to her home and she had some small organs which she had just bought with the intention of learning to play. She said 'have a go', so I said 'well, I can't play, I've not played keyboards before' and she showed me my first few chords. The first key I learned to play in was C sharp; by the end of that evening I was accompanying her. She had her first London meeting two weeks after that which I played in and it was just phenomenal, it amazed me that within two weeks of being taught my first few chords I was able to play sufficiently well in a public meeting, and I just went from strength to strength."
When Rev Parris left the New Testament Church she went on to form a church called The Latter Rain Outpouring Revival Church. Bazil went with her and it automatically fell to him to put a singing group together. Bazil remembers that time with fondness. "Yes, LROR," (Bazil revelled in pronouncing the name 'LeRoar'!), "my first really great choir. That organisation grew from about 15 people to a regular congregation of about 350 in a few years. We had three choirs, a youth choir, an intermediate choir and a senior choir, and we just developed the music side of that church. I was in charge of the music and that is where I cut my teeth and grew and learned a lot. I had this great passion to learn, I loved gospel music. I wanted to be able to play like the people I was listening to on albums, people like Billy Preston, who became my organ-playing idol. That was my passion. The LROR choir was the first gospel choir that made inroads into a lot of areas. We had a documentary made about the choir by an independent company which was shown on Channel Four and I was trying at that time to tease the choir from doing things purely within church circles because I had this desire to do something different than preaching to the converted. But there began to be objections to that in those early days and I think that is one of the things that led me to follow the route which later developed because I didn't want to be causing too many problems within the church that I belonged to. So I preferred being in a position where people were independent. I think that's where LCGC came in."
Crystal structures that have nothing to do with the page:
- - -
Calculated powder diffractogram of TaBiSe2 for Cu Kα (weighted mean of Kα1 and Kα2), from the GGA-PBE geometry in Alexandria.
Lines closer than 0.1° are merged.

Top 8 peaks for 2θ from 10° to 90°, by angle:
18.5 deg, rel. 888
30.3 deg, rel. 1000
30.5 deg, rel. 593
38.8 deg, rel. 765
39.5 deg, rel. 375
42.9 deg, rel. 341
43.8 deg, rel. 616
52.7 deg, rel. 534

Structure:
abc: 3.469 6.017 9.785
angles: 85.50 79.86 89.94
Fractional coordinates of all 8 atoms:
Ta 0.000 0.000 0.000
Ta 0.500 0.500 0.000
Bi 0.178 0.750 0.500
Bi 0.822 0.250 0.500
Se 0.086 0.690 0.825
Se 0.412 0.810 0.175
Se 0.588 0.190 0.825
Se 0.914 0.310 0.175

=====

Calculated powder diffractogram of Tb5BiSe5 for Cu Kα (weighted mean of Kα1 and Kα2), from the GGA-PBE geometry in Alexandria.
Lines closer than 0.1° are merged.

Top 8 peaks for 2θ from 10° to 90°, by angle:
30.2 deg, rel. 922
30.3 deg, rel. 893
30.5 deg, rel. 885
43.3 deg, rel. 1000
43.4 deg, rel. 673
43.7 deg, rel. 331
53.7 deg, rel. 346
54.0 deg, rel. 355

Structure:
abc: 7.183 7.183 8.346
angles: 106.60 106.60 48.72
Fractional coordinates of all 11 atoms:
Tb 0.000 0.000 0.000
Tb 0.330 0.330 0.653
Tb 0.332 0.332 0.181
Tb 0.668 0.668 0.819
Tb 0.670 0.670 0.347
Bi 0.500 0.500 0.000
Se 0.162 0.162 0.334
Se 0.171 0.171 0.839
Se 0.500 0.500 0.500
Se 0.829 0.829 0.161
Se 0.838 0.838 0.666

=====

Calculated powder diffractogram of Tb4Bi3Se for Cu Kα (weighted mean of Kα1 and Kα2), from the GGA-PBE geometry in Alexandria.
Lines closer than 0.1° are merged.

Top 8 peaks for 2θ from 10° to 90°, by angle:
23.7 deg, rel. 33
28.7 deg, rel. 1000
41.0 deg, rel. 772
50.8 deg, rel. 278
59.4 deg, rel. 131
67.3 deg, rel. 360
74.7 deg, rel. 268
88.9 deg, rel. 90

Structure:
abc: 7.621 7.621 4.405
angles: 90.00 90.00 109.44
Fractional coordinates of all 8 atoms:
Tb 0.241 0.241 0.500
Tb 0.245 0.755 0.000
Tb 0.755 0.245 0.000
Tb 0.759 0.759 0.500
Bi 0.000 0.500 0.500
Bi 0.500 0.000 0.500
Bi 0.500 0.500 0.000
Se 0.000 0.000 0.000
- - -
But before LCGC began Bazil and a few friends formed a funk-orientated band called Kainos, which at the time was considered quite radical within the black church. Bazil explained: "Kainos was brought together by Joel Edwards, Joe Pitt and myself. We wanted to do something that was a bit funky, there were other groups like The Heavenly Hopes for instance who were doing things on the gospel circuit, but were still fairly safe and traditional. We always tended to be a bit radical and Kainos, we felt, would produce music that would tend to cross over a little bit, and it did that, particularly in our live shows. For the first time I saw Christian youth within the black-led church get up on their feet and actually dance and that was in a Kainos concert down in Willesden, one of the more fiery churches at that time. The elders were amazed at what they were seeing but the music was really driving and the kids just got up the front, they came down and started letting their feelings be seen in their feet and in their hands."
Of course Bazil went on from that to begin forming the choir that would become LCGC. Not many groups in any style of music can legitimately claim to have given their first ever performance on national TV. "Yes," said Bazil, "that first performance was on 'Black On Black', which was the magazine programme for the black community presented by Trevor Phillips. We had already begun talking to various people who we wanted to invite to form this choir that we were talking about and at the same time I was approached to form a choir to come and do the Christmas show. We had already accumulated about thirty to forty people who were interested in being in this new choir and I responded to Trevor's request and said 'Yes, I can bring a choir to do it'. We rehearsed about three or four songs and went on the 'Black On Black' Christmas show and the response, Trevor told me, was just phenomenal, because it was the first time they'd ever tried it. We hadn't got the name yet, we tried it on the show and he started getting phone calls and letters in from people everywhere saying 'We'd like to hear more of that type of music'. He then decided to have for the following Easter a competition asking gospel groups from all over the country to send in tapes and a panel would then select a few of those to come on the Easter show and perform. The Inspirational Choir sent in a tape. They were invited and were spotted by the band Madness and were invited to come and sing on the "Wings Of A Dove" single, and I think what followed after that was a mini-album, I think they signed to Stiff Records. The COGIC Choir were also invited on to the show so the whole thing just came together as if it was all planned and it just launched this new push to bring gospel music to the community here and I really appreciated Trevor Phillips' risk. It was a good risk and it really helped to launch LCGC."
After finally deciding to christen themselves the London Community Gospel Choir they performed their debut concert at Kensington Temple in May 1983 which is still considered one of their best concerts during the 80s. The next decade saw the choir sometimes huge, more often scaled down as the logistics of putting a big choir on the road gradually sank home. Numerous TV appearances back-up sessions on numerous pop-sessions, concerts before diverse audiences - Christian and non-Christian, black and white - followed. Only their own albums proved to be a problem.

Considering their international reputation in concerts, TV and sessions, recordings in their own right have been thin on the ground. Including their hot-off-the-laser CD they've managed only four in ten years. The recording session for one album for EMI, carrying the snappy title of The London Community Gospel Choir Sing The Gospel Greats' raised a smile from Bazil when he recalled it.
"We loved doing that album because we had to improvise in so many ways. We were asked to do an album of gospel songs and hymns and we just spiced them up and put the LCGC stamp on them. A team of us got together, myself, Lawrence Johnson, Howard Francis, Wayne Wilson, we did all the re-arrangements and rehearsed the choir. The producer, Gordon Lorenz, hired a church in Finchley and everything was just put straight down. There was no cubicle for the drummer - our drummer was Nicky Brown, big guy, very loud, the only way to stop the drums from dominating everything was to get a lot of old mattresses and build a box and put him in there with just a peep hole so he could see the conductor. He recorded the whole album in there, and the choir was lined up out in the same room and we put all the songs down straight, just like that. Every time I listen to that album now the whole scene comes back to me. We did it all in about three evenings, people came straight from work down to Finchley to record the album. I love to listen to it, particularly on a Sunday morning."
In the mainstream pop/rock field LCGC have played at several rock festivals and performed on a lot of secular albums. They've done live shows with people like George Michael, Stevie Wonder and Foreigner. They also did three series of The Rock Gospel Show on BBC TV and have sung in several Royal performances. Bazil told me that some of his favourite memories come from touring in Scandinavia.
"They were very enjoyable and we made a huge mark on the Scandinavian people, particularly Sweden where our longest tour was for three weeks, full houses all the time, 750-2,000 seater venues, two concerts in some places. From this current crop of singers I think there may be only one or two who've actually been on those tours, so I'd like to take LCGC back into those areas and re-introduce ourselves because there are people who haven't heard us for many years, and people are asking when we are going to go back, so there are plans afoot to tour this year. I'd love to do that."
LCGC were also credited as the choir on Boy George's "Jesus Loves You" project. I suggested to Bazil that this was a rather controversial thing to be involved in. "That particular project came about as a job for my company. Unfortunately I wasn't in the country at the time and I'd left someone in charge of keeping things running for me and the booking came in so the person took it on and booked session singers for it who went on and did it as a job, and I became aware of it when I came back. I realised it was going to be of a sensitive nature but there was actually nothing I could have done about it at the time. I did instruct the record company that LCGC should not be credited for that but as record companies they went straight ahead and did that. So LCGC's name came into it and because I am the face of LCGC, whatever I do people tend to label it as LCGC but I realise it was a very sensitive thing. I do try and be selective about the type of artist I work with and ask for a lyric sheet of the song to make sure they're not saying anything that I am going to be uncomfortable with."
LCGC's new album 'Hush And Listen' is one of cover versions with a distinctly funk-based feel and contains a variety of songs including The Temptations' "Ball Of Confusion" and Marvin Gaye's "Abraham, Martin And John". Said Bazil, "The seed of an idea for an album of covers was sown about three years previously. Steve Mahler, who was then working for an agent called John Sherry (who used to find work for the choir), dropped this idea down on me one day of recording an album of Motown songs and soul greats. I said 'Sounds like a good idea, something we can think about'. He left that company and I never heard from him for two or three years and then one day he phoned, saying 'Bazil, remember that idea for an album of cover songs? Well, I'm working for a new company now and they're very keen. Are you interested?'. I said 'Why not?' so we had the meeting and he sent me a tape of songs he had in mind and really the choice of songs came from that."
The first single release from the album was the old Staples Singers' hit "I'll Take You There" with guest vocalist P P Arnold, who appears on several numbers. Curiously, this was followed by the release of a version of Bob Dylan's "Knocking On Heaven's Door", not exactly a Motown classic, so why was it chosen? "I suppose the message of the song tended to fall within a theme that I wanted the album to have, and when I heard the arrangement that was done by the producer Myles Benedict I rather liked it. Once we put the vocals on and mixed it down I really felt very good about it but just as we were about to release that the Guns 'n' Roses version came out, so we had to put it on ice for a while."
The album has a large mainstream distribution deal and is also being distributed to the Christian trade by Kingsway. The full line-up of the choir on the album now numbers only eighteen. I asked Bazil why this was the case when they had been so large in previous years. "Economics," said Bazil. "In real terms the choir had 110 people on the register in 1984 and to move the choir round at that time we needed two coaches. You can imagine the cost. At the time the majority of people in the Choir were in their late teens and early twenties and single. I think I was probably the only married person in the choir. What happened was a lot of those people now have families and the rest of it, so numbers have been dropping, and the interest in being in choirs has also dropped. In the early 80s there was this great surge in choirs - you had LCGC, The Angelical Voice Choir, The Inspirational Choir, The Majesties etc. That has gone though a lot of the soloists from choirs have gone into solo careers or formed groups, so there's not that sort of interest in being in choirs and I think from our economic point of view as well it's advantageous to keep choirs down. I prefer having an average of twenty to thirty now."
Finally then, what does the future hold for Bazil and the Choir? "I'd like to see new singers coming through. The standard of lead singers is not as it was in the 80s. I'm sure there are very talented young people out there who'd like to be singing in choirs. We have to be very selective because I get a lot of non-Christian people who want to sing in choirs and really those are not the people I'm looking for. To sing gospel music effectively you need to believe what you're singing and if faith is not there then it's not coming from the heart and it really is a no-go area for non-Christians. However, I like to see committed Christian people and invite them to audition for the Choir. I'd like to see the group establish itself as something that will last and remain after most of us have packed it in and gone.
"Also," added Bazil, "one of the exciting projects we've been asked to
get involved in is the 'Galleria', which is a shopping precinct on the
A1 where they are planning to hold arts events and concerts from April
this year. They've asked me to provide six gospel acts to do one
appearance a month through the summer. It's a great opportunity for
Christian artists to reach a lot of people as they estimate something
like ten to twelve thousand people visit the site on weekends. So it's
very exciting."